Sunday, February 24, 2013

GCA93 Current detector feedback module

This is the first Driver board from Giling Computer Applications that I'll present you. It is used to detect position of trains through the current consumption of aisle track sections. And I start with this board because it'll be probably the most used in any computer driven layout. This is the completed board:

Main characteristics of the board are:

  •  Opto-isolated signals
  •  Can be used in two and three rails system
  •  Fused, it is auto-protected in case of short-circuit and rearmed after five seconds
  •  Led indication of both short-circuit and normal detection

And the way to use it is really ease, like others: you connect the red wire that feeds one side of the track to the board, and cut and isolate the rail where you want the detection (the rail that was feed also through the red wire from the central station) and connect this rail to the board. You can connect maximum 8 detection sections. The printer connector is used to connect to GCA50 (in case of Loconet bus) and inform to the rest of the system (Central station, computer, other modules) that a piece of track is occupied by a train.

Just as a brief introduction about blocks, sensors and retrosignaling: It's really needed to detect positions of trains in your layout if you want to see trains moving in automatic mode. Computer must know not only when a train has arrived to the destination, but also where exactly is this and all other trains all along the way in order to block others and avoid collisions. Very often people only use detectors in stations, just in start and end points of the travel of the train. But in this way if you move a train, computer will block all the path or it will not start moving the train until it is free, so it'll be difficult to see many trains moving at the same time. The way sensors are situated is particular to the layout (number of trains, size of the layout, number and disposition of tracks, ....) but if you don't want to fail use detectors absolutely in all tracks with these simple rules:

  • Split ALL your layout in blocks. A block is a part of continuous track (with no crossings or switches), and it's size must be equal (a bit more for some tolerance) to the largest train you want to stop there.
  • Once your layout design is split in blocks, following the previous rule, divide your block in three detection section. It doesn't matter if the block is in a single or double direction of travel to make it simple, easy and safe, because when you start to operate your layout may be you decide to change travel senses and you want it to be prepared for all types of operations.  Whatever the case may be, and I repeat just to simplify for those starting in DCC, split this block in three detection zones. The two outside zones (entering and stoop/leaving zones) must have a length enough to accommodate your largest locomotive, and the center detection zone the rest of space.
Don't worry if you create too much blocks (there are never enough), you can always set up a block to do not stop trains if it's the case. The block is just a concept for your computer, it's a place where a train will stop or not, it will reduce to a certain speed or not, or a special train will avoid passing it just according to the rules you will set up in your control software. And blocks are split in detection zones (3 each block in a simple way), and these detection zones are physical. And for each one you need a sensor, and here is where GCA93 is needed. Each of these boards has 8 sensors, so with one board you can connect two blocks and a half.

This is the board before mounting components, it has a high quality finish and all components are well indicated. Everything is soldered through hole, no SMD components, so it's really easy to solder even for beginners:

In some places where I don't have room enough for the GCA93 board plus the GCA50 (Loconet Interface), I put them in "sandwich", using 12mm spacers. For that, you have to use a different print connectors (the ones to connect GCA93 to GCA50). Just solder elbow shaped connectors instead of straight ones.

This is the front view of the GCA50+GCA93 when sandwiched, no changes to DB9 connectors on GCA50 nor terminal connectors of GCA93:

In the rear view you can see the elbow shaped connectors, the one of GCA93 must be soldered from the bottom, but there's no problem because all board holes can be soldered in both sides:

Detail of GCA50, as I said in GCA50 post I don't solder terminal connectors, they have no use for me in GCA50:

And detail of the GCA93, with connector soldered in the bottom:

Here you see the differences between printer connectors, left one is elbow shaped, right one the straight:

These are my GCA93 boards in charge of detecting trains in my hidden yard. One is sandwitched on GCA50, and the left one in a standard way:

For more complete information or order boards or kits (board + components) look the official page:

In next posts, I'll show all the other Driver Boards from Gilling. See you!!

Monday, February 4, 2013

Masadas square flea market

- - -
Starting from a structure optimized by DFT (GGA-PBE), the powder diffractogram of ZrN2 was calculated for λ = 1.5418 Å (Cu Kα).
Neutral-atom scattering factors, no anomalous dispersion.

Cell lengths 3.7941, 4.3698, 4.1668 Å; angles 90.00, 90.00, 90.00 degrees
Space group Pmmn (No. 59, origin choice 2)
Asymmetric unit:
Zr1 0.2500 0.2500 0.2491
N1 0.2500 0.7500 0.1488
N2 0.2500 0.7500 0.5014

The 8 most intense peaks (15° ≤ 2θ ≤ 90°), by angle:
2theta  intensity  index
29.6  75  0 1 1
31.2  41  1 1 0
31.9  100  1 0 1
41.3  31  0 2 0
48.0  20  2 0 0
53.1  44  1 2 1
54.5  39  1 1 2
57.4  23  2 1 1
- - -

Yesterday I went for the first time to a hobby dedicated flea market in Barcelona. It's done the first Sunday every month in Masadas square:

I always thought it was more focused on slot cars and other hobbies than trains and railroad models, but a friend convinced me to go and I have to admit I was fully wrong. I think from now on I'll be a devote of this event and will check in every month!!!

First of all the place is really nice, in a pedestrian zone close to the rails and all the new works of the high speed line.

And I got really surprised with the number of stands and different material you can find. It's almost impossible to move along the sides of the square from 11 a.m., and the center of the market is also occupied by more stands.

Despite it's a general hobby market, I would say 60 or 70% is train related. The rest is about slot cars, and just a few selling general tools and doll houses and accessories. 

Here is very appreciated (and expensive) all rolling stock from Ibertren, an ancient Spanish brand, and railroad modelers search mainly RENFE stock. That's why Kato has a good entrance in this market doing products like the RENFE 251 locomotive (, and also because of this is possible to find other Kato models like the shinkansen 800 Tsubame (6 car set) I saw at a good price of 135€ (

Just one stand had Tomix and Tomitec material, and here I bought a Kobe truck with container for 10€. Not really a good price, but adding shipping is less than acquiring it through internet, and you cannot leave a market like this with your hands empty!!!!

Definitely I'll visit Masadas next month!!!